-- Assignment --
It remains to echo all of the lines below exactly.

-- Entries --
# 1
{"formula": "C9H14O", "method": "ωB97M-V/def2-TZVPD", "total_charge": 0, "max_force_ev_per_a": 1.5, "de_lowest_kcal_mol": 18.41, "spin_multiplicity": 1, "smiles": "Cc1ccccc1.CCO", "e_lumo_ev": 0.82, "symbols": ["C", "C", "O", "H", "H", "H", "H", "H", "H", "C", "C", "C", "C", "C", "C", "C", "H", "H", "H", "H", "H", "H", "H", "H"], "coordinates": [[0.994, -2.307, 2.913], [-0.205, -1.370, 2.837], [2.030, -1.819, 3.769], [0.757, -3.285, 3.316], [1.426, -2.420, 1.914], [-0.123, -0.520, 3.513], [2.248, -0.907, 3.542], [-1.139, -1.869, 3.111], [-0.406, -0.996, 1.842], [1.413, 1.237, -0.456], [-1.353, -0.263, -2.609], [-0.199, -0.147, -1.858], [-2.132, 0.852, -2.903], [0.191, 1.090, -1.331], [-1.670, 2.097, -2.516], [-0.442, 2.205, -1.870], [-1.646, -1.236, -2.987], [0.338, -1.014, -1.480], [-3.033, 0.670, -3.471], [-2.175, 3.022, -2.762], [1.768, 2.262, -0.359], [2.168, 0.648, -0.983], [-0.012, 3.192, -1.726], [1.204, 0.880, 0.554]]}

=====

# 2
{"formula": "C5H9N3O", "method": "ωB97M-V/def2-TZVPD", "total_charge": 0, "max_force_ev_per_a": 6.3, "de_lowest_kcal_mol": 197.81, "spin_multiplicity": 1, "e_lumo_ev": 0.56, "symbols": ["C", "C", "C", "C", "C", "H", "H", "H", "H", "H", "H", "H", "H", "H", "N", "N", "N", "O"], "coordinates": [[-1.530, 0.226, -0.397], [-0.125, 2.018, 0.146], [0.948, 0.908, 0.412], [1.333, -0.250, -0.450], [0.461, -0.415, 0.706], [-1.829, -2.066, 0.953], [-1.781, -2.120, -1.059], [-2.493, -0.212, -1.050], [-0.770, 2.241, 1.043], [-0.259, 3.291, -0.357], [1.849, 1.080, 0.948], [1.115, -0.232, -1.415], [2.829, -1.474, -0.082], [0.536, -1.044, 1.557], [-1.145, -2.136, -0.013], [-0.768, -0.718, 0.130], [-1.194, 1.367, -0.560], [2.823, -0.464, -0.511]]}

=====

# 3
{"formula": "C12H16N2O5", "method": "ωB97M-V/def2-TZVPD", "total_charge": 0, "max_force_ev_per_a": 1.6, "de_lowest_kcal_mol": 122.25, "spin_multiplicity": 1, "smiles": "Cc1ccc([N+](=O)[O-])cc1N[C@@H]1C[C@H](O)[C@H](CO)O1", "e_lumo_ev": -0.21, "symbols": ["C", "C", "C", "C", "C", "C", "C", "N", "H", "C", "O", "C", "C", "O", "H", "H", "H", "H", "C", "O", "H", "H", "C", "H", "H", "H", "H", "N", "O", "O", "H", "H", "H", "H", "H"], "coordinates": [[0.222, -2.710, -0.059], [1.334, -1.708, -0.096], [2.637, -2.091, 0.174], [3.684, -1.187, 0.152], [3.401, 0.138, -0.147], [2.106, 0.559, -0.421], [1.055, -0.355, -0.408], [-0.226, 0.002, -0.724], [-0.950, -0.651, -0.442], [-0.700, 1.364, -0.768], [-2.019, 1.378, -1.251], [-2.930, 1.206, -0.166], [-3.681, -0.140, -0.317], [-2.903, -1.109, -0.963], [-2.609, -0.722, -1.801], [-4.608, 0.037, -0.878], [-3.926, -0.540, 0.667], [-3.656, 2.025, -0.221], [-2.102, 1.344, 1.137], [-1.891, 0.074, 1.707], [-1.352, 0.172, 2.499], [-2.629, 1.991, 1.851], [-0.802, 1.985, 0.635], [0.056, 1.738, 1.257], [-0.909, 3.066, 0.565], [-0.095, 1.949, -1.468], [1.944, 1.601, -0.647], [4.459, 1.105, -0.160], [5.593, 0.711, 0.022], [4.163, 2.270, -0.347], [4.698, -1.485, 0.364], [2.839, -3.125, 0.410], [-0.257, -2.789, -1.034], [0.602, -3.689, 0.221], [-0.543, -2.418, 0.661]]}

=====

What did the first record say?
{"formula": "C9H14O", "method": "ωB97M-V/def2-TZVPD", "total_charge": 0, "max_force_ev_per_a": 1.5, "de_lowest_kcal_mol": 18.41, "spin_multiplicity": 1, "smiles": "Cc1ccccc1.CCO", "e_lumo_ev": 0.82, "symbols": ["C", "C", "O", "H", "H", "H", "H", "H", "H", "C", "C", "C", "C", "C", "C", "C", "H", "H", "H", "H", "H", "H", "H", "H"], "coordinates": [[0.994, -2.307, 2.913], [-0.205, -1.370, 2.837], [2.030, -1.819, 3.769], [0.757, -3.285, 3.316], [1.426, -2.420, 1.914], [-0.123, -0.520, 3.513], [2.248, -0.907, 3.542], [-1.139, -1.869, 3.111], [-0.406, -0.996, 1.842], [1.413, 1.237, -0.456], [-1.353, -0.263, -2.609], [-0.199, -0.147, -1.858], [-2.132, 0.852, -2.903], [0.191, 1.090, -1.331], [-1.670, 2.097, -2.516], [-0.442, 2.205, -1.870], [-1.646, -1.236, -2.987], [0.338, -1.014, -1.480], [-3.033, 0.670, -3.471], [-2.175, 3.022, -2.762], [1.768, 2.262, -0.359], [2.168, 0.648, -0.983], [-0.012, 3.192, -1.726], [1.204, 0.880, 0.554]]}

-- Written answer --
# 1
{"formula": "C9H14O", "method": "ωB97M-V/def2-TZVPD", "total_charge": 0, "max_force_ev_per_a": 1.5, "de_lowest_kcal_mol": 18.41, "spin_multiplicity": 1, "smiles": "Cc1ccccc1.CCO", "e_lumo_ev": 0.82, "symbols": ["C", "C", "O", "H", "H", "H", "H", "H", "H", "C", "C", "C", "C", "C", "C", "C", "H", "H", "H", "H", "H", "H", "H", "H"], "coordinates": [[0.994, -2.307, 2.913], [-0.205, -1.370, 2.837], [2.030, -1.819, 3.769], [0.757, -3.285, 3.316], [1.426, -2.420, 1.914], [-0.123, -0.520, 3.513], [2.248, -0.907, 3.542], [-1.139, -1.869, 3.111], [-0.406, -0.996, 1.842], [1.413, 1.237, -0.456], [-1.353, -0.263, -2.609], [-0.199, -0.147, -1.858], [-2.132, 0.852, -2.903], [0.191, 1.090, -1.331], [-1.670, 2.097, -2.516], [-0.442, 2.205, -1.870], [-1.646, -1.236, -2.987], [0.338, -1.014, -1.480], [-3.033, 0.670, -3.471], [-2.175, 3.022, -2.762], [1.768, 2.262, -0.359], [2.168, 0.648, -0.983], [-0.012, 3.192, -1.726], [1.204, 0.880, 0.554]]}

=====

# 2
{"formula": "C5H9N3O", "method": "ωB97M-V/def2-TZVPD", "total_charge": 0, "max_force_ev_per_a": 6.3, "de_lowest_kcal_mol": 197.81, "spin_multiplicity": 1, "e_lumo_ev": 0.56, "symbols": ["C", "C", "C", "C", "C", "H", "H", "H", "H", "H", "H", "H", "H", "H", "N", "N", "N", "O"], "coordinates": [[-1.530, 0.226, -0.397], [-0.125, 2.018, 0.146], [0.948, 0.908, 0.412], [1.333, -0.250, -0.450], [0.461, -0.415, 0.706], [-1.829, -2.066, 0.953], [-1.781, -2.120, -1.059], [-2.493, -0.212, -1.050], [-0.770, 2.241, 1.043], [-0.259, 3.291, -0.357], [1.849, 1.080, 0.948], [1.115, -0.232, -1.415], [2.829, -1.474, -0.082], [0.536, -1.044, 1.557], [-1.145, -2.136, -0.013], [-0.768, -0.718, 0.130], [-1.194, 1.367, -0.560], [2.823, -0.464, -0.511]]}

=====

# 3
{"formula": "C12H16N2O5", "method": "ωB97M-V/def2-TZVPD", "total_charge": 0, "max_force_ev_per_a": 1.6, "de_lowest_kcal_mol": 122.25, "spin_multiplicity": 1, "smiles": "Cc1ccc([N+](=O)[O-])cc1N[C@@H]1C[C@H](O)[C@H](CO)O1", "e_lumo_ev": -0.21, "symbols": ["C", "C", "C", "C", "C", "C", "C", "N", "H", "C", "O", "C", "C", "O", "H", "H", "H", "H", "C", "O", "H", "H", "C", "H", "H", "H", "H", "N", "O", "O", "H", "H", "H", "H", "H"], "coordinates": [[0.222, -2.710, -0.059], [1.334, -1.708, -0.096], [2.637, -2.091, 0.174], [3.684, -1.187, 0.152], [3.401, 0.138, -0.147], [2.106, 0.559, -0.421], [1.055, -0.355, -0.408], [-0.226, 0.002, -0.724], [-0.950, -0.651, -0.442], [-0.700, 1.364, -0.768], [-2.019, 1.378, -1.251], [-2.930, 1.206, -0.166], [-3.681, -0.140, -0.317], [-2.903, -1.109, -0.963], [-2.609, -0.722, -1.801], [-4.608, 0.037, -0.878], [-3.926, -0.540, 0.667], [-3.656, 2.025, -0.221], [-2.102, 1.344, 1.137], [-1.891, 0.074, 1.707], [-1.352, 0.172, 2.499], [-2.629, 1.991, 1.851], [-0.802, 1.985, 0.635], [0.056, 1.738, 1.257], [-0.909, 3.066, 0.565], [-0.095, 1.949, -1.468], [1.944, 1.601, -0.647], [4.459, 1.105, -0.160], [5.593, 0.711, 0.022], [4.163, 2.270, -0.347], [4.698, -1.485, 0.364], [2.839, -3.125, 0.410], [-0.257, -2.789, -1.034], [0.602, -3.689, 0.221], [-0.543, -2.418, 0.661]]}

=====

What did the first record say?
{"formula": "C9H14O", "method": "ωB97M-V/def2-TZVPD", "total_charge": 0, "max_force_ev_per_a": 1.5, "de_lowest_kcal_mol": 18.41, "spin_multiplicity": 1, "smiles": "Cc1ccccc1.CCO", "e_lumo_ev": 0.82, "symbols": ["C", "C", "O", "H", "H", "H", "H", "H", "H", "C", "C", "C", "C", "C", "C", "C", "H", "H", "H", "H", "H", "H", "H", "H"], "coordinates": [[0.994, -2.307, 2.913], [-0.205, -1.370, 2.837], [2.030, -1.819, 3.769], [0.757, -3.285, 3.316], [1.426, -2.420, 1.914], [-0.123, -0.520, 3.513], [2.248, -0.907, 3.542], [-1.139, -1.869, 3.111], [-0.406, -0.996, 1.842], [1.413, 1.237, -0.456], [-1.353, -0.263, -2.609], [-0.199, -0.147, -1.858], [-2.132, 0.852, -2.903], [0.191, 1.090, -1.331], [-1.670, 2.097, -2.516], [-0.442, 2.205, -1.870], [-1.646, -1.236, -2.987], [0.338, -1.014, -1.480], [-3.033, 0.670, -3.471], [-2.175, 3.022, -2.762], [1.768, 2.262, -0.359], [2.168, 0.648, -0.983], [-0.012, 3.192, -1.726], [1.204, 0.880, 0.554]]}